Entries
........
i) A plane-wave DFT calculation with PBE was carried out for crystalline LiZr2Se2O2 at its relaxed geometry.

a b c (Å): 3.6140 3.6140 8.8039
angles (deg): 90.00 90.00 90.00
Space group P4mm (No. 99)
Inequivalent atoms, fractional coordinates:
Li 0.0000 0.0000 0.0000 x1
Zr 0.0000 0.0000 0.2680 x1
Zr 0.5000 0.5000 0.9206 x1
Se 0.0000 0.0000 0.7432 x1
Se 0.5000 0.5000 0.3993 x1
O 0.0000 0.5000 0.0625 x2

total moment = 0.7 μB/cell
theoretical density = 5.5 g/cm³

---

ii) A plane-wave DFT calculation with PBE was carried out for crystalline LiZr2Se2O2 at its relaxed geometry.

a b c (Å): 3.6360 3.6360 9.0203
angles (deg): 90.00 90.00 90.00
Space group P-4m2 (No. 115)
Inequivalent atoms, fractional coordinates:
Li 0.0000 0.0000 0.0000 x1
Zr 0.0000 0.5000 0.3665 x2
Se 0.0000 0.5000 0.7965 x2
O 0.0000 0.0000 0.5000 x1
O 0.5000 0.5000 0.5000 x1

total moment = 1.0 μB/cell
theoretical density = 5.3 g/cm³

---

ii) has the most favorable energy; the next structure is 34.1 kJ/mol of atoms above.

---

i) A plane-wave DFT calculation with PBE was carried out for crystalline LiSi6O12 at its relaxed geometry.

a b c (Å): 5.1933 7.5198 7.5357
angles (deg): 93.61 109.30 109.39
Space group P1 (No. 1)
Inequivalent atoms, fractional coordinates:
Li 0.0000 0.0000 0.0000 x1
Si 0.0281 0.4066 0.1216 x1
Si 0.4116 0.6911 0.7444 x1
Si 0.5080 0.8201 0.1679 x1
Si 0.5304 0.2325 0.2804 x1
Si 0.9170 0.8679 0.5917 x1
Si 0.9403 0.2815 0.7053 x1
O 0.0106 0.0814 0.7255 x1
O 0.2042 0.8084 0.6452 x1
O 0.2194 0.2702 0.2016 x1
O 0.2299 0.4605 0.7129 x1
O 0.2382 0.6329 0.1694 x1
O 0.4014 0.0060 0.1623 x1
O 0.6024 0.7956 0.9785 x1
O 0.6533 0.2449 0.5111 x1
O 0.6629 0.7160 0.6509 x1
O 0.7814 0.3798 0.2175 x1
O 0.8016 0.8735 0.3625 x1
O 0.8556 0.3240 0.8905 x1

total moment = 0.0 μB/cell
theoretical density = 2.4 g/cm³

---

ii) A plane-wave DFT calculation with PBE was carried out for crystalline LiSi6O12 at its relaxed geometry.

a b c (Å): 5.0370 7.6490 7.6527
angles (deg): 74.01 71.09 71.31
Space group P-1 (No. 2)
Inequivalent atoms, fractional coordinates:
Li 0.0000 0.0000 0.0000 x1
Si 0.0084 0.7445 0.2584 x2
Si 0.0696 0.1828 0.1757 x2
Si 0.4113 0.3398 0.3408 x2
O 0.0677 0.2370 0.9464 x2
O 0.0895 0.9500 0.2287 x2
O 0.2356 0.7044 0.6992 x2
O 0.2759 0.2671 0.5652 x2
O 0.2852 0.5676 0.2839 x2
O 0.3429 0.2274 0.2098 x2

total moment = 0.0 μB/cell
theoretical density = 2.4 g/cm³

---

i) has the most favorable energy; the next structure is 8.9 kJ/mol of atoms above.

---

i) A plane-wave DFT calculation with PBE was carried out for crystalline LiSi6O12 at its relaxed geometry.

a b c (Å): 14.2634 5.3146 9.0441
angles (deg): 90.00 129.16 90.00
Space group C2 (No. 5)
Inequivalent atoms, fractional coordinates:
Li 0.0000 0.0000 0.0000 x2
Si 0.0000 0.4916 0.5000 x2
Si 0.0000 0.5001 0.0000 x2
Si 0.1685 0.2857 0.4185 x4
Si 0.1686 0.7053 0.9151 x4
O 0.0781 0.7021 0.9744 x4
O 0.0811 0.3090 0.4751 x4
O 0.0835 0.2979 0.1799 x4
O 0.0872 0.6728 0.6858 x4
O 0.2294 0.0068 0.4812 x4
O 0.2300 0.9838 0.9712 x4

total moment = 0.0 μB/cell
theoretical density = 2.3 g/cm³

---

ii) A plane-wave DFT calculation with PBE was carried out for crystalline LiSi6O12 at its relaxed geometry.

a b c (Å): 5.2609 7.4845 7.6183
angles (deg): 72.42 70.44 70.83
Space group P1 (No. 1)
Inequivalent atoms, fractional coordinates:
Li 0.0000 0.0000 0.0000 x1
Si 0.0522 0.4089 0.0211 x1
Si 0.3911 0.5866 0.1785 x1
Si 0.4065 0.5292 0.5987 x1
Si 0.4119 0.9628 0.5464 x1
Si 0.4256 0.9959 0.1313 x1
Si 0.7659 0.1269 0.6994 x1
O 0.1013 0.0435 0.6852 x1
O 0.1282 0.1715 0.0815 x1
O 0.1584 0.4789 0.7883 x1
O 0.1950 0.4978 0.1216 x1
O 0.3037 0.8230 0.0937 x1
O 0.3128 0.5445 0.4109 x1
O 0.4045 0.0696 0.3283 x1
O 0.4741 0.7284 0.5913 x1
O 0.6472 0.0936 0.9316 x1
O 0.6486 0.0095 0.6083 x1
O 0.6942 0.3564 0.6021 x1
O 0.7155 0.4889 0.0848 x1

total moment = 1.0 μB/cell
theoretical density = 2.3 g/cm³

---

ii) has the most favorable energy; the next structure is 0.7 kJ/mol of atoms above.

---
........
Work order
Next, copy every line further up that contains the word "energy".
Worked solution
ii) has the most favorable energy; the next structure is 34.1 kJ/mol of atoms above.
i) has the most favorable energy; the next structure is 8.9 kJ/mol of atoms above.
ii) has the most favorable energy; the next structure is 0.7 kJ/mol of atoms above.